Excerpt =
........
# 1
Here is crystalline SrAgBi at its relaxed geometry from the Alexandria database. Energies are from PBE.

Summary:
* calculated density: 4.10 g cm⁻³
* formation energy from the elements: 627 meV per atom

Geometry as CIF:
```
data_SrAgBi
_chemical_formula_sum 'Sr2 Ag2 Bi2'
_cell_length_a 5.3382
_cell_length_b 5.3382
_cell_length_c 13.2685
_cell_angle_alpha 90.00
_cell_angle_beta 90.00
_cell_angle_gamma 120.00
_symmetry_space_group_name_H-M 'P 63/m m c'
_symmetry_Int_Tables_number 194
_symmetry_space_group_name_Hall '-P 6c 2c'
loop_
_atom_site_label
_atom_site_type_symbol
_atom_site_fract_x
_atom_site_fract_y
_atom_site_fract_z
Sr1 Sr 0.0000 0.0000 0.2500
Ag1 Ag 0.3333 0.6667 0.2500
Bi1 Bi 0.0000 0.0000 0.0000
```

***

# 2
Here is crystalline SrTbAgBi at its relaxed geometry from the Alexandria database. Energies are from PBE.

Summary:
* calculated density: 7.93 g cm⁻³
* formation energy from the elements: -431 meV per atom

Geometry as CIF:
```
data_SrTbAgBi
_chemical_formula_sum 'Sr4 Tb4 Ag4 Bi4'
_cell_length_a 7.787
_cell_length_b 7.787
_cell_length_c 7.787
_cell_angle_alpha 90.00
_cell_angle_beta 90.00
_cell_angle_gamma 90.00
_symmetry_space_group_name_H-M 'F -4 3 m'
_symmetry_Int_Tables_number 216
_symmetry_space_group_name_Hall 'F -4 2 3'
loop_
_atom_site_label
_atom_site_type_symbol
_atom_site_fract_x
_atom_site_fract_y
_atom_site_fract_z
Sr1 Sr 0.000 0.000 0.000
Tb1 Tb 0.000 0.000 0.500
Ag1 Ag 0.250 0.250 0.750
Bi1 Bi 0.250 0.250 0.250
```

***

# 3
Here is crystalline SrAgBiTe3 at its relaxed geometry from the Alexandria database. Energies are from PBE.

Summary:
* calculated density: 6.50 g cm⁻³
* formation energy (no corrections): -0.67 eV per atom

Geometry as CIF:
```
data_SrAgBiTe3
_chemical_formula_sum 'Sr2 Ag2 Bi2 Te6'
_cell_length_a 9.192
_cell_length_b 4.508
_cell_length_c 9.909
_cell_angle_alpha 90.00
_cell_angle_beta 101.70
_cell_angle_gamma 90.00
_symmetry_space_group_name_H-M 'P 1 21/m 1'
_symmetry_Int_Tables_number 11
loop_
_symmetry_equiv_pos_as_xyz
'x,y,z'
'-x,-y,-z'
'-x,y+1/2,-z'
'x,-y+1/2,z'
loop_
_atom_site_label
_atom_site_type_symbol
_atom_site_fract_x
_atom_site_fract_y
_atom_site_fract_z
Sr1 Sr 0.175 0.250 0.253
Ag1 Ag 0.075 0.250 0.581
Bi1 Bi 0.332 0.750 0.845
Te1 Te 0.103 0.250 0.882
Te2 Te 0.248 0.750 0.513
Te3 Te 0.426 0.750 0.163
```

***

# 4
Here is crystalline SrAg2BiTe at its relaxed geometry from the Alexandria database. Energies are from PBE.

Summary:
* calculated density: 5.68 g cm⁻³
* formation energy (no corrections): -0.05 eV per atom

Geometry as CIF:
```
data_SrAg2BiTe
_chemical_formula_sum 'Sr1 Ag2 Bi1 Te1'
_cell_length_a 5.295
_cell_length_b 5.295
_cell_length_c 6.675
_cell_angle_alpha 90.00
_cell_angle_beta 90.00
_cell_angle_gamma 90.00
_symmetry_space_group_name_H-M 'P 4/m m m'
_symmetry_Int_Tables_number 123
_symmetry_space_group_name_Hall '-P 4 2'
loop_
_atom_site_label
_atom_site_type_symbol
_atom_site_fract_x
_atom_site_fract_y
_atom_site_fract_z
Sr1 Sr 0.000 0.000 0.000
Ag1 Ag 0.000 0.500 0.500
Bi1 Bi 0.000 0.000 0.500
Te1 Te 0.500 0.500 0.000
```

***

# 5
Here is crystalline Sr3Tm2Ag2Bi4 at its relaxed geometry from the Alexandria database. Energies are from PBE.

Summary:
* calculated density: 7.52 g cm⁻³
* formation energy from the elements: -579 meV per atom

Geometry as CIF:
```
data_Sr3Tm2Ag2Bi4
_chemical_formula_sum 'Sr3 Tm2 Ag2 Bi4'
_cell_length_a 4.9414
_cell_length_b 4.9414
_cell_length_c 17.2609
_cell_angle_alpha 90.00
_cell_angle_beta 90.00
_cell_angle_gamma 120.00
_symmetry_space_group_name_H-M 'P -3 m 1'
_symmetry_Int_Tables_number 164
_symmetry_space_group_name_Hall '-P 3 2"'
loop_
_atom_site_label
_atom_site_type_symbol
_atom_site_fract_x
_atom_site_fract_y
_atom_site_fract_z
Sr1 Sr 0.0000 0.0000 0.0000
Sr2 Sr 0.0000 0.0000 0.2504
Tm1 Tm 0.3333 0.6667 0.5620
Ag1 Ag 0.3333 0.6667 0.1263
Bi1 Bi 0.3333 0.6667 0.3699
Bi2 Bi 0.3333 0.6667 0.8731
```

***

# 6
........

To do =
Echo the whole of the notes above without additions, please.

Result =
# 1
Here is crystalline SrAgBi at its relaxed geometry from the Alexandria database. Energies are from PBE.

Summary:
* calculated density: 4.10 g cm⁻³
* formation energy from the elements: 627 meV per atom

Geometry as CIF:
```
data_SrAgBi
_chemical_formula_sum 'Sr2 Ag2 Bi2'
_cell_length_a 5.3382
_cell_length_b 5.3382
_cell_length_c 13.2685
_cell_angle_alpha 90.00
_cell_angle_beta 90.00
_cell_angle_gamma 120.00
_symmetry_space_group_name_H-M 'P 63/m m c'
_symmetry_Int_Tables_number 194
_symmetry_space_group_name_Hall '-P 6c 2c'
loop_
_atom_site_label
_atom_site_type_symbol
_atom_site_fract_x
_atom_site_fract_y
_atom_site_fract_z
Sr1 Sr 0.0000 0.0000 0.2500
Ag1 Ag 0.3333 0.6667 0.2500
Bi1 Bi 0.0000 0.0000 0.0000
```

***

# 2
Here is crystalline SrTbAgBi at its relaxed geometry from the Alexandria database. Energies are from PBE.

Summary:
* calculated density: 7.93 g cm⁻³
* formation energy from the elements: -431 meV per atom

Geometry as CIF:
```
data_SrTbAgBi
_chemical_formula_sum 'Sr4 Tb4 Ag4 Bi4'
_cell_length_a 7.787
_cell_length_b 7.787
_cell_length_c 7.787
_cell_angle_alpha 90.00
_cell_angle_beta 90.00
_cell_angle_gamma 90.00
_symmetry_space_group_name_H-M 'F -4 3 m'
_symmetry_Int_Tables_number 216
_symmetry_space_group_name_Hall 'F -4 2 3'
loop_
_atom_site_label
_atom_site_type_symbol
_atom_site_fract_x
_atom_site_fract_y
_atom_site_fract_z
Sr1 Sr 0.000 0.000 0.000
Tb1 Tb 0.000 0.000 0.500
Ag1 Ag 0.250 0.250 0.750
Bi1 Bi 0.250 0.250 0.250
```

***

# 3
Here is crystalline SrAgBiTe3 at its relaxed geometry from the Alexandria database. Energies are from PBE.

Summary:
* calculated density: 6.50 g cm⁻³
* formation energy (no corrections): -0.67 eV per atom

Geometry as CIF:
```
data_SrAgBiTe3
_chemical_formula_sum 'Sr2 Ag2 Bi2 Te6'
_cell_length_a 9.192
_cell_length_b 4.508
_cell_length_c 9.909
_cell_angle_alpha 90.00
_cell_angle_beta 101.70
_cell_angle_gamma 90.00
_symmetry_space_group_name_H-M 'P 1 21/m 1'
_symmetry_Int_Tables_number 11
loop_
_symmetry_equiv_pos_as_xyz
'x,y,z'
'-x,-y,-z'
'-x,y+1/2,-z'
'x,-y+1/2,z'
loop_
_atom_site_label
_atom_site_type_symbol
_atom_site_fract_x
_atom_site_fract_y
_atom_site_fract_z
Sr1 Sr 0.175 0.250 0.253
Ag1 Ag 0.075 0.250 0.581
Bi1 Bi 0.332 0.750 0.845
Te1 Te 0.103 0.250 0.882
Te2 Te 0.248 0.750 0.513
Te3 Te 0.426 0.750 0.163
```

***

# 4
Here is crystalline SrAg2BiTe at its relaxed geometry from the Alexandria database. Energies are from PBE.

Summary:
* calculated density: 5.68 g cm⁻³
* formation energy (no corrections): -0.05 eV per atom

Geometry as CIF:
```
data_SrAg2BiTe
_chemical_formula_sum 'Sr1 Ag2 Bi1 Te1'
_cell_length_a 5.295
_cell_length_b 5.295
_cell_length_c 6.675
_cell_angle_alpha 90.00
_cell_angle_beta 90.00
_cell_angle_gamma 90.00
_symmetry_space_group_name_H-M 'P 4/m m m'
_symmetry_Int_Tables_number 123
_symmetry_space_group_name_Hall '-P 4 2'
loop_
_atom_site_label
_atom_site_type_symbol
_atom_site_fract_x
_atom_site_fract_y
_atom_site_fract_z
Sr1 Sr 0.000 0.000 0.000
Ag1 Ag 0.000 0.500 0.500
Bi1 Bi 0.000 0.000 0.500
Te1 Te 0.500 0.500 0.000
```

***

# 5
Here is crystalline Sr3Tm2Ag2Bi4 at its relaxed geometry from the Alexandria database. Energies are from PBE.

Summary:
* calculated density: 7.52 g cm⁻³
* formation energy from the elements: -579 meV per atom

Geometry as CIF:
```
data_Sr3Tm2Ag2Bi4
_chemical_formula_sum 'Sr3 Tm2 Ag2 Bi4'
_cell_length_a 4.9414
_cell_length_b 4.9414
_cell_length_c 17.2609
_cell_angle_alpha 90.00
_cell_angle_beta 90.00
_cell_angle_gamma 120.00
_symmetry_space_group_name_H-M 'P -3 m 1'
_symmetry_Int_Tables_number 164
_symmetry_space_group_name_Hall '-P 3 2"'
loop_
_atom_site_label
_atom_site_type_symbol
_atom_site_fract_x
_atom_site_fract_y
_atom_site_fract_z
Sr1 Sr 0.0000 0.0000 0.0000
Sr2 Sr 0.0000 0.0000 0.2504
Tm1 Tm 0.3333 0.6667 0.5620
Ag1 Ag 0.3333 0.6667 0.1263
Bi1 Bi 0.3333 0.6667 0.3699
Bi2 Bi 0.3333 0.6667 0.8731
```

***

# 6